-- Brief --
Now repeat the notes below exactly.

-- Excerpt --
~~~
(1)
Simulated X-ray powder pattern
Compound: MnZn4Se5
Radiation: Cu Kα
Structure: a structure optimized by DFT (PBE)
Kinematic intensities with the Lorentz-polarization factor, no thermal factor.

Structural model:
```
data_MnZn4Se5
_space_group_name_H-M_alt 'P 3 m 1'
_space_group_IT_number 156
_space_group_name_Hall 'P 3 -2"'
_cell_length_a 4.0751
_cell_length_b 4.0751
_cell_length_c 33.4845
_cell_angle_alpha 90.00
_cell_angle_beta 90.00
_cell_angle_gamma 120.00
loop_
_atom_site_label
_atom_site_type_symbol
_atom_site_fract_x
_atom_site_fract_y
_atom_site_fract_z
Mn1 Mn 0.0000 0.0000 0.0000
Mn2 Mn 0.0000 0.0000 0.2031
Zn1 Zn 0.0000 0.0000 0.4044
Zn2 Zn 0.0000 0.0000 0.6024
Zn3 Zn 0.0000 0.0000 0.8002
Zn4 Zn 0.3333 0.6667 0.1023
Zn5 Zn 0.3333 0.6667 0.3055
Zn6 Zn 0.3333 0.6667 0.5034
Zn7 Zn 0.3333 0.6667 0.7013
Zn8 Zn 0.3333 0.6667 0.8991
Se1 Se 0.0000 0.0000 0.1272
Se2 Se 0.0000 0.0000 0.3299
Se3 Se 0.0000 0.0000 0.5280
Se4 Se 0.0000 0.0000 0.7260
Se5 Se 0.0000 0.0000 0.9243
Se6 Se 0.3333 0.6667 0.0280
Se7 Se 0.3333 0.6667 0.2311
Se8 Se 0.3333 0.6667 0.4290
Se9 Se 0.3333 0.6667 0.6270
Se10 Se 0.3333 0.6667 0.8249
```

Principal peaks in the range 2θ from 10° to 90°, by angle:
- 25.24°, 3.529 Å, intensity 100, (1 0 0)
- 26.62°, 3.348 Å, intensity 56, (0 0 10)
- 28.59°, 3.122 Å, intensity 67, (1 0 5)
- 37.01°, 2.429 Å, intensity 35, (1 0 10)
- 44.46°, 2.038 Å, intensity 85, (1 1 0)
- 48.24°, 1.887 Å, intensity 83, (1 0 15)
- 52.58°, 1.741 Å, intensity 49, (1 1 10)
- 67.68°, 1.384 Å, intensity 29, (0 2 15)
- 76.00°, 1.252 Å, intensity 19, (1 0 25)
- 84.64°, 1.145 Å, intensity 31, (2 1 15)

(2)
Simulated X-ray powder pattern
Compound: ZrMn3Se6
Radiation: Cu Kα
Structure: a structure optimized by DFT (PBE)
Kinematic intensities with the Lorentz-polarization factor, no thermal factor.

Structural model:
```
data_ZrMn3Se6
_space_group_name_H-M_alt 'R 3'
_space_group_IT_number 146
_space_group_name_Hall 'R 3'
_cell_length_a 6.5875
_cell_length_b 6.5875
_cell_length_c 17.9167
_cell_angle_alpha 90.00
_cell_angle_beta 90.00
_cell_angle_gamma 120.00
loop_
_atom_site_label
_atom_site_type_symbol
_atom_site_fract_x
_atom_site_fract_y
_atom_site_fract_z
Zr1 Zr 0.0000 0.0000 0.0000
Mn1 Mn 0.0000 0.0000 0.1839
Mn2 Mn 0.0000 0.0000 0.4980
Mn3 Mn 0.0000 0.0000 0.6832
Se1 Se 0.0173 0.6768 0.7618
Se2 Se 0.0277 0.3497 0.2581
```

Principal peaks in the range 2θ from 10° to 90°, by angle:
- 18.44°, 4.812 Å, intensity 21, (0 1 2)
- 25.28°, 3.523 Å, intensity 12, (1 0 4)
- 31.01°, 2.884 Å, intensity 100, (1 1 3)
- 40.79°, 2.212 Å, intensity 64, (2 -1 6)
- 47.83°, 1.902 Å, intensity 44, (3 0 0)
- 53.81°, 1.704 Å, intensity 20, (2 -1 9)
- 58.10°, 1.588 Å, intensity 15, (4 -2 3)
- 64.63°, 1.442 Å, intensity 15, (2 2 6)
- 82.06°, 1.174 Å, intensity 15, (3 0 12)
- 84.28°, 1.149 Å, intensity 13, (5 -1 6)

(3)
Simulated X-ray powder pattern
Compound: ZrMn4Se
Radiation: Cu Kα
Structure: a structure optimized by DFT (PBE)
Kinematic intensities with the Lorentz-polarization factor, no thermal factor.

Structural model:
```
data_ZrMn4Se
_space_group_name_H-M_alt 'F -4 3 m'
_space_group_IT_number 216
_space_group_name_Hall 'F -4 2 3'
_cell_length_a 6.933
_cell_length_b 6.933
_cell_length_c 6.933
_cell_angle_alpha 90.00
_cell_angle_beta 90.00
_cell_angle_gamma 90.00
loop_
_atom_site_label
_atom_site_type_symbol
_atom_site_fract_x
_atom_site_fract_y
_atom_site_fract_z
Zr1 Zr 0.000 0.000 0.000
Mn1 Mn 0.125 0.125 0.625
Se1 Se 0.250 0.250 0.250
```

Principal peaks in the range 2θ from 10° to 90°, by angle:
- 22.21°, 4.003 Å, intensity 1, (1 1 1)
- 36.66°, 2.451 Å, intensity 44, (2 2 0)
- 43.28°, 2.090 Å, intensity 100, (3 1 1)
- 45.31°, 2.001 Å, intensity 26, (2 2 2)
- 52.82°, 1.733 Å, intensity 1, (4 0 0)
- 66.01°, 1.415 Å, intensity 15, (4 2 2)
- 70.59°, 1.334 Å, intensity 29, (5 1 1)
- 77.96°, 1.226 Å, intensity 23, (4 4 0)
- 89.38°, 1.096 Å, intensity 7, (6 2 0)


[1]
~~~

-- Result --
(1)
Simulated X-ray powder pattern
Compound: MnZn4Se5
Radiation: Cu Kα
Structure: a structure optimized by DFT (PBE)
Kinematic intensities with the Lorentz-polarization factor, no thermal factor.

Structural model:
```
data_MnZn4Se5
_space_group_name_H-M_alt 'P 3 m 1'
_space_group_IT_number 156
_space_group_name_Hall 'P 3 -2"'
_cell_length_a 4.0751
_cell_length_b 4.0751
_cell_length_c 33.4845
_cell_angle_alpha 90.00
_cell_angle_beta 90.00
_cell_angle_gamma 120.00
loop_
_atom_site_label
_atom_site_type_symbol
_atom_site_fract_x
_atom_site_fract_y
_atom_site_fract_z
Mn1 Mn 0.0000 0.0000 0.0000
Mn2 Mn 0.0000 0.0000 0.2031
Zn1 Zn 0.0000 0.0000 0.4044
Zn2 Zn 0.0000 0.0000 0.6024
Zn3 Zn 0.0000 0.0000 0.8002
Zn4 Zn 0.3333 0.6667 0.1023
Zn5 Zn 0.3333 0.6667 0.3055
Zn6 Zn 0.3333 0.6667 0.5034
Zn7 Zn 0.3333 0.6667 0.7013
Zn8 Zn 0.3333 0.6667 0.8991
Se1 Se 0.0000 0.0000 0.1272
Se2 Se 0.0000 0.0000 0.3299
Se3 Se 0.0000 0.0000 0.5280
Se4 Se 0.0000 0.0000 0.7260
Se5 Se 0.0000 0.0000 0.9243
Se6 Se 0.3333 0.6667 0.0280
Se7 Se 0.3333 0.6667 0.2311
Se8 Se 0.3333 0.6667 0.4290
Se9 Se 0.3333 0.6667 0.6270
Se10 Se 0.3333 0.6667 0.8249
```

Principal peaks in the range 2θ from 10° to 90°, by angle:
- 25.24°, 3.529 Å, intensity 100, (1 0 0)
- 26.62°, 3.348 Å, intensity 56, (0 0 10)
- 28.59°, 3.122 Å, intensity 67, (1 0 5)
- 37.01°, 2.429 Å, intensity 35, (1 0 10)
- 44.46°, 2.038 Å, intensity 85, (1 1 0)
- 48.24°, 1.887 Å, intensity 83, (1 0 15)
- 52.58°, 1.741 Å, intensity 49, (1 1 10)
- 67.68°, 1.384 Å, intensity 29, (0 2 15)
- 76.00°, 1.252 Å, intensity 19, (1 0 25)
- 84.64°, 1.145 Å, intensity 31, (2 1 15)

(2)
Simulated X-ray powder pattern
Compound: ZrMn3Se6
Radiation: Cu Kα
Structure: a structure optimized by DFT (PBE)
Kinematic intensities with the Lorentz-polarization factor, no thermal factor.

Structural model:
```
data_ZrMn3Se6
_space_group_name_H-M_alt 'R 3'
_space_group_IT_number 146
_space_group_name_Hall 'R 3'
_cell_length_a 6.5875
_cell_length_b 6.5875
_cell_length_c 17.9167
_cell_angle_alpha 90.00
_cell_angle_beta 90.00
_cell_angle_gamma 120.00
loop_
_atom_site_label
_atom_site_type_symbol
_atom_site_fract_x
_atom_site_fract_y
_atom_site_fract_z
Zr1 Zr 0.0000 0.0000 0.0000
Mn1 Mn 0.0000 0.0000 0.1839
Mn2 Mn 0.0000 0.0000 0.4980
Mn3 Mn 0.0000 0.0000 0.6832
Se1 Se 0.0173 0.6768 0.7618
Se2 Se 0.0277 0.3497 0.2581
```

Principal peaks in the range 2θ from 10° to 90°, by angle:
- 18.44°, 4.812 Å, intensity 21, (0 1 2)
- 25.28°, 3.523 Å, intensity 12, (1 0 4)
- 31.01°, 2.884 Å, intensity 100, (1 1 3)
- 40.79°, 2.212 Å, intensity 64, (2 -1 6)
- 47.83°, 1.902 Å, intensity 44, (3 0 0)
- 53.81°, 1.704 Å, intensity 20, (2 -1 9)
- 58.10°, 1.588 Å, intensity 15, (4 -2 3)
- 64.63°, 1.442 Å, intensity 15, (2 2 6)
- 82.06°, 1.174 Å, intensity 15, (3 0 12)
- 84.28°, 1.149 Å, intensity 13, (5 -1 6)

(3)
Simulated X-ray powder pattern
Compound: ZrMn4Se
Radiation: Cu Kα
Structure: a structure optimized by DFT (PBE)
Kinematic intensities with the Lorentz-polarization factor, no thermal factor.

Structural model:
```
data_ZrMn4Se
_space_group_name_H-M_alt 'F -4 3 m'
_space_group_IT_number 216
_space_group_name_Hall 'F -4 2 3'
_cell_length_a 6.933
_cell_length_b 6.933
_cell_length_c 6.933
_cell_angle_alpha 90.00
_cell_angle_beta 90.00
_cell_angle_gamma 90.00
loop_
_atom_site_label
_atom_site_type_symbol
_atom_site_fract_x
_atom_site_fract_y
_atom_site_fract_z
Zr1 Zr 0.000 0.000 0.000
Mn1 Mn 0.125 0.125 0.625
Se1 Se 0.250 0.250 0.250
```

Principal peaks in the range 2θ from 10° to 90°, by angle:
- 22.21°, 4.003 Å, intensity 1, (1 1 1)
- 36.66°, 2.451 Å, intensity 44, (2 2 0)
- 43.28°, 2.090 Å, intensity 100, (3 1 1)
- 45.31°, 2.001 Å, intensity 26, (2 2 2)
- 52.82°, 1.733 Å, intensity 1, (4 0 0)
- 66.01°, 1.415 Å, intensity 15, (4 2 2)
- 70.59°, 1.334 Å, intensity 29, (5 1 1)
- 77.96°, 1.226 Å, intensity 23, (4 4 0)
- 89.38°, 1.096 Å, intensity 7, (6 2 0)


[1]